# Listing
Entry 1:
Simulated PXRD pattern
Compound: ErH2F5
Radiation: Cu Kα (weighted mean of Kα1 and Kα2)
Structure: the PBE geometry in Alexandria
Intensities are scaled so that the largest is 100.

Atomic structure:
a b c (Å): 6.477 6.477 4.427
angles (deg): 90.00 90.00 90.00
Element x y z (fractional)
1 Er 0.000 0.000 0.000
2 Er 0.500 0.500 0.500
3 H 0.000 0.500 0.000
4 H 0.000 0.500 0.500
5 H 0.500 0.000 0.000
6 H 0.500 0.000 0.500
7 F 0.000 0.000 0.500
8 F 0.054 0.670 0.000
9 F 0.170 0.446 0.500
10 F 0.330 0.054 0.000
11 F 0.446 0.830 0.500
12 F 0.500 0.500 0.000
13 F 0.554 0.170 0.500
14 F 0.670 0.946 0.000
15 F 0.830 0.554 0.500
16 F 0.946 0.330 0.000

Peak list (12 most intense, 2θ from 10° to 90°, low angle first)
2θ (°)  I/Imax
19.38  66
24.35  100
27.54  55
37.09  34
39.35  13
40.77  17
44.22  34
45.51  16
46.82  27
49.91  20
55.18  22
61.70  24



Entry 2:
Simulated PXRD pattern
Compound: Tb2Al2Zn15
Radiation: Cu Kα (weighted mean of Kα1 and Kα2)
Structure: the PBE geometry in Alexandria
Intensities are scaled so that the largest is 100.

Atomic structure:
a b c (Å): 6.804 6.804 6.804
angles (deg): 83.16 83.16 83.16
Element x y z (fractional)
1 Tb 0.164 0.164 0.164
2 Tb 0.836 0.836 0.836
3 Al 0.400 0.400 0.400
4 Al 0.600 0.600 0.600
5 Zn 0.000 0.500 0.500
6 Zn 0.148 0.148 0.664
7 Zn 0.148 0.664 0.148
8 Zn 0.199 0.500 0.801
9 Zn 0.199 0.801 0.500
10 Zn 0.336 0.852 0.852
11 Zn 0.500 0.000 0.500
12 Zn 0.500 0.199 0.801
13 Zn 0.500 0.500 0.000
14 Zn 0.500 0.801 0.199
15 Zn 0.664 0.148 0.148
16 Zn 0.801 0.199 0.500
17 Zn 0.801 0.500 0.199
18 Zn 0.852 0.336 0.852
19 Zn 0.852 0.852 0.336

Peak list (12 most intense, 2θ from 10° to 90°, low angle first)
2θ (°)  I/Imax
28.42  29
34.40  28
35.74  15
39.93  43
40.28  100
41.31  33
45.20  24
58.80  18
65.60  18
72.52  16
74.62  16
87.04  15



Entry 3:
Simulated PXRD pattern
Compound: TbPdRhAu
Radiation: Cu Kα (weighted mean of Kα1 and Kα2)
Structure: the PBE geometry in Alexandria
Intensities are scaled so that the largest is 100.

Atomic structure:
a b c (Å): 3.941 4.223 4.304
angles (deg): 90.00 90.00 90.00
Element x y z (fractional)
1 Tb 0.000 0.000 0.000
2 Pd 0.500 0.000 0.500
3 Rh 0.500 0.500 0.000
4 Au 0.000 0.500 0.500

Peak list (12 most intense, 2θ from 10° to 90°, low angle first)
2θ (°)  I/Imax
29.64  6
37.57  100
41.99  18
42.83  17
46.07  14
61.53  12
64.08  10
64.71  10
73.79  14
74.97  13
79.62  11
80.19  11



Entry 4:
Simulated PXRD pattern
Compound: ZnSi3
Radiation: Cu Kα (weighted mean of Kα1 and Kα2)
Structure: the PBE geometry in Alexandria
Intensities are scaled so that the largest is 100.

Atomic structure:
a b c (Å): 2.530 4.584 5.310
angles (deg): 90.00 90.76 90.00
Element x y z (fractional)
1 Zn 0.000 0.000 0.000
2 Si 0.000 0.000 0.500
3 Si 0.004 0.500 0.753
4 Si 0.996 0.500 0.247

Peak list (12 most intense, 2θ from 10° to 90°, low angle first)
2θ (°)  I/Imax
16.70  20
19.36  14
25.67  14
35.48  44
39.25  100
53.57  25
53.98  25
54.24  24
71.20  11
81.88  7
82.45  11
84.31  7



Entry 5:
Simulated PXRD pattern
Compound: Ac3Al2Pd7
Radiation: Cu Kα (weighted mean of Kα1 and Kα2)
Structure: the PBE geometry in Alexandria
Intensities are scaled so that the largest is 100.

Atomic structure:
a b c (Å): 4.366 4.279 14.048
angles (deg): 90.00 98.90 90.00
Element x y z (fractional)
1 Ac 0.000 0.000 0.000
2 Ac 0.318 0.500 0.636
3 Ac 0.682 0.500 0.364
4 Al 0.129 0.000 0.257
5 Al 0.871 0.000 0.743
6 Pd 0.084 0.500 0.164
7 Pd 0.219 0.000 0.438
8 Pd 0.417 0.000 0.836
9 Pd 0.500 0.500 0.000
10 Pd 0.583 0.000 0.164
11 Pd 0.781 0.000 0.562
12 Pd 0.916 0.500 0.836

Peak list (12 most intense, 2θ from 10° to 90°, low angle first)
2θ (°)  I/Imax
22.52  12
32.25  11
33.24  12
33.47  100
35.64  12
37.14  12
41.35  27
42.24  20
54.09  11
60.59  18
64.73  11
71.65  12



Entry 6:
Simulated PXRD pattern
Compound: Pm2Y4Tl3H2
Radiation: Cu Kα (weighted mean of Kα1 and Kα2)
Structure: the PBE geometry in Alexandria
Intensities are scaled so that the largest is 100.

Atomic structure:

# Request
Could you find "87.04" and "81.88" in the calculation results further above, and return these two lines and those between?

# Written answer
87.04  15



Entry 3:
Simulated PXRD pattern
Compound: TbPdRhAu
Radiation: Cu Kα (weighted mean of Kα1 and Kα2)
Structure: the PBE geometry in Alexandria
Intensities are scaled so that the largest is 100.

Atomic structure:
a b c (Å): 3.941 4.223 4.304
angles (deg): 90.00 90.00 90.00
Element x y z (fractional)
1 Tb 0.000 0.000 0.000
2 Pd 0.500 0.000 0.500
3 Rh 0.500 0.500 0.000
4 Au 0.000 0.500 0.500

Peak list (12 most intense, 2θ from 10° to 90°, low angle first)
2θ (°)  I/Imax
29.64  6
37.57  100
41.99  18
42.83  17
46.07  14
61.53  12
64.08  10
64.71  10
73.79  14
74.97  13
79.62  11
80.19  11



Entry 4:
Simulated PXRD pattern
Compound: ZnSi3
Radiation: Cu Kα (weighted mean of Kα1 and Kα2)
Structure: the PBE geometry in Alexandria
Intensities are scaled so that the largest is 100.

Atomic structure:
a b c (Å): 2.530 4.584 5.310
angles (deg): 90.00 90.76 90.00
Element x y z (fractional)
1 Zn 0.000 0.000 0.000
2 Si 0.000 0.000 0.500
3 Si 0.004 0.500 0.753
4 Si 0.996 0.500 0.247

Peak list (12 most intense, 2θ from 10° to 90°, low angle first)
2θ (°)  I/Imax
16.70  20
19.36  14
25.67  14
35.48  44
39.25  100
53.57  25
53.98  25
54.24  24
71.20  11
81.88  7